(To do)
What is needed: find the line further down that holds "42.25, 12", then type out that line and all lines after it there.

(Entries)
┌──
This entry pairs a crystal structure of La3P2Se with its computed powder X-ray diffraction pattern. Radiation: Cu Kα, 1.54184 Å. Structure: the GGA-PBE geometry in Alexandria.

Most intense lines, 2θ = 10–90°, in order of rising 2θ:
hkl, 2θ/deg, intensity
1 1 0, 25.44, 44
0 2 0, 29.46, 100
1 2 3, 42.13, 61
2 0 0, 42.25, 12
1 3 0, 49.84, 14
0 2 6, 52.19, 13
2 2 0, 52.33, 13
0 4 0, 61.13, 12
1 4 3, 69.24, 16
0 4 6, 76.95, 11

Atomic structure:
abc: 4.2784 6.0680 12.8834
angles: 90.00 90.00 90.00
Space group Immm (No. 71)
Inequivalent atoms, fractional coordinates:
La 0.0000 0.0000 0.0000
La 0.0000 0.0000 0.3250
P 0.0000 0.5000 0.3350
Se 0.0000 0.5000 0.0000
└──

(Worked solution)
2 0 0, 42.25, 12
1 3 0, 49.84, 14
0 2 6, 52.19, 13
2 2 0, 52.33, 13
0 4 0, 61.13, 12
1 4 3, 69.24, 16
0 4 6, 76.95, 11

Atomic structure:
abc: 4.2784 6.0680 12.8834
angles: 90.00 90.00 90.00
Space group Immm (No. 71)
Inequivalent atoms, fractional coordinates:
La 0.0000 0.0000 0.0000
La 0.0000 0.0000 0.3250
P 0.0000 0.5000 0.3350
Se 0.0000 0.5000 0.0000